== Contents ==
=====
(1)
Structure and calculated powder diffractogram of Ba4CaZr5O15 (a crystal structure in the Materials Project, relaxed with GGA-PBE; Cu Kα).
No peak broadening, texture or thermal motion is included.

Main lines, most intense first (5 to 70 degrees two-theta):
- 2θ 29.8, rel. 100
- 2θ 53.0, rel. 40
- 2θ 42.7, rel. 33
- 2θ 62.0, rel. 20
- 2θ 36.8, rel. 5
- 2θ 9.3, rel. 4
- 2θ 13.2, rel. 2
- 2θ 23.0, rel. 1
- 2θ 28.3, rel. 1
- 2θ 24.9, rel. 1
- 2θ 18.7, rel. 1
- 2θ 34.1, rel. 1

Structural model:
```
Ba4CaZr5O15
1.0
9.466 0.000 0.000
0.000 9.466 0.000
0.000 0.000 4.235
Ba Ca Zr O
4 1 5 15
direct
0.100 0.700 0.000
0.300 0.100 0.000
0.700 0.900 0.000
0.900 0.300 0.000
0.500 0.500 0.000
0.000 0.000 0.500
0.201 0.400 0.500
0.400 0.799 0.500
0.600 0.201 0.500
0.799 0.600 0.500
0.000 0.000 0.000
0.000 0.500 0.500
0.100 0.200 0.500
0.200 0.900 0.500
0.201 0.400 0.000
0.302 0.599 0.500
0.400 0.799 0.000
0.401 0.302 0.500
0.500 0.000 0.500
0.599 0.698 0.500
0.600 0.201 0.000
0.698 0.401 0.500
0.799 0.600 0.000
0.800 0.100 0.500
0.900 0.800 0.500
```



(2)
Structure and calculated powder diffractogram of MgSnPd2 (a crystal structure in the Materials Project, relaxed with GGA-PBE; Cu Kα).
No peak broadening, texture or thermal motion is included.

Main lines, most intense first (5 to 70 degrees two-theta):
- 2θ 39.2, rel. 100
- 2θ 56.6, rel. 17
- 2θ 23.7, rel. 17
- 2θ 46.3, rel. 9
- 2θ 27.4, rel. 5
- 2θ 62.2, rel. 4
- 2θ 64.0, rel. 1
- 2θ 48.5, rel. 1

Structural model:
```
MgSnPd2
1.0
0.000 3.254 3.254
3.254 0.000 3.254
3.254 3.254 0.000
Mg Sn Pd
1 1 2
direct
0.000 0.000 0.000
0.500 0.500 0.500
0.250 0.250 0.250
0.750 0.750 0.750
```



(3)
Structure and calculated powder diffractogram of Mg14MnSi (a crystal structure in the Materials Project, relaxed with GGA-PBE; Cu Kα).
No peak broadening, texture or thermal motion is included.

Main lines, most intense first (5 to 70 degrees two-theta):
- 2θ 37.8, rel. 100
- 2θ 35.4, rel. 26
- 2θ 33.3, rel. 25
- 2θ 65.1, rel. 18
- 2θ 59.4, rel. 17
- 2θ 49.3, rel. 15
- 2θ 8.7, rel. 9
- 2θ 18.6, rel. 4
- 2θ 16.5, rel. 3
- 2θ 69.9, rel. 3
- 2θ 24.1, rel. 2
- 2θ 42.9, rel. 2

Structural model:
```
Mg14MnSi
1.0
10.155 0.000 0.000
0.000 3.109 5.388
0.000 -3.109 5.388
Mg Mn Si
14 1 1
direct
0.000 0.000 0.000
0.000 0.002 0.501
0.000 0.499 0.499
0.000 0.501 0.002
0.254 0.665 0.665
0.255 0.165 0.165
0.264 0.170 0.670
0.264 0.670 0.170
0.500 0.499 0.996
0.500 0.996 0.499
0.736 0.170 0.670
0.736 0.670 0.170
0.745 0.165 0.165
0.746 0.665 0.665
0.500 0.503 0.503
0.500 0.004 0.004
```



(4)
Structure and calculated powder diffractogram of Sr6ZnRu2O12 (a crystal structure in the Materials Project, relaxed with GGA-PBE; Cu Kα).
No peak broadening, texture or thermal motion is included.

Main lines, most intense first (5 to 70 degrees two-theta):
- 2θ 30.9, rel. 100
- 2θ 32.1, rel. 66
- 2θ 56.5, rel. 35
- 2θ 46.1, rel. 35
- 2θ 54.1, rel. 19
- 2θ 64.3, rel. 17
- 2θ 42.3, rel. 17
- 2θ 13.8, rel. 16
- 2θ 42.1, rel. 14
- 2θ 67.2, rel. 10
- 2θ 43.0, rel. 10
- 2θ 64.1, rel. 7

Structural model:
```
Sr6ZnRu2O12
1.0
8.359 -2.785 0.000
8.359 2.785 0.000
-2.784 0.000 6.405
Sr Zn Ru O
6 1 2 12
direct
0.048 0.048 0.285
0.292 0.292 0.705
0.389 0.389 0.295
0.611 0.611 0.705
0.708 0.708 0.295
0.952 0.952 0.715
0.500 0.500 0.000
0.170 0.170 0.999
0.830 0.830 0.001
0.000 0.500 0.000
0.114 0.114 0.679
0.151 0.672 0.999
0.221 0.221 0.322
0.328 0.849 0.001
0.444 0.444 0.670
0.500 0.000 0.000
0.556 0.556 0.330
0.672 0.151 0.999
0.779 0.779 0.678
0.849 0.328 0.001
0.886 0.886 0.321
```



(5)
Structure and calculated powder diffractogram of CaGeO3 (a crystal structure in the Materials Project, relaxed with GGA-PBE; Cu Kα).
No peak broadening, texture or thermal motion is included.

Main lines, most intense first (5 to 70 degrees two-theta):
- 2θ 33.5, rel. 100
- 2θ 48.1, rel. 45
- 2θ 59.9, rel. 37
- 2θ 23.5, rel. 31
- 2θ 54.2, rel. 12
- 2θ 41.3, rel. 1

Structural model:
```
CaGeO3
1.0
3.783 0.000 0.000
=====

== Request ==
The reader should retype the part of the material above that starts with the line with "24.1, rel." and stops after the one with "13.8, rel.".

== Here it is ==
- 2θ 24.1, rel. 2
- 2θ 42.9, rel. 2

Structural model:
```
Mg14MnSi
1.0
10.155 0.000 0.000
0.000 3.109 5.388
0.000 -3.109 5.388
Mg Mn Si
14 1 1
direct
0.000 0.000 0.000
0.000 0.002 0.501
0.000 0.499 0.499
0.000 0.501 0.002
0.254 0.665 0.665
0.255 0.165 0.165
0.264 0.170 0.670
0.264 0.670 0.170
0.500 0.499 0.996
0.500 0.996 0.499
0.736 0.170 0.670
0.736 0.670 0.170
0.745 0.165 0.165
0.746 0.665 0.665
0.500 0.503 0.503
0.500 0.004 0.004
```



(4)
Structure and calculated powder diffractogram of Sr6ZnRu2O12 (a crystal structure in the Materials Project, relaxed with GGA-PBE; Cu Kα).
No peak broadening, texture or thermal motion is included.

Main lines, most intense first (5 to 70 degrees two-theta):
- 2θ 30.9, rel. 100
- 2θ 32.1, rel. 66
- 2θ 56.5, rel. 35
- 2θ 46.1, rel. 35
- 2θ 54.1, rel. 19
- 2θ 64.3, rel. 17
- 2θ 42.3, rel. 17
- 2θ 13.8, rel. 16